woman turning around on green fields

• Crystal structures, kept here for reference:
Entry 1:
AcYPa2O8, relaxed, DFT PBE-GGA; formation energy without anion corrections = -83.81 kcal/mol of atoms; magnetic moment = 0.000 Bohr magnetons per cell; DOS(E_F) = 0.000 states/eV/cell
1.0
-3.221 2.195 -3.955
-3.042 -4.645 -0.100
-0.162 3.299 5.861
Ac Y Pa O
1 1 2 8
Direct
0.750 0.250 0.500
0.000 0.000 0.000
0.500 0.500 0.000
0.250 0.750 0.500
0.879 0.850 0.242
0.363 0.392 0.242
0.607 0.636 0.757
0.150 0.121 0.757
0.879 0.393 0.243
0.364 0.850 0.243
0.150 0.637 0.758
0.608 0.121 0.758

=====

Entry 2:
ScHg2Os, relaxed, DFT PBE-GGA; magnetic moment = 0.000 Bohr magnetons per cell; ΔE_f = 0.17 eV per atom; ΔE to the lowest computed polymorph = 77.8 meV per atom; DOS(E_F) = 1.778 states/eV/cell
1.0
-7.989 4.470 2.576
-9.222 2.210 0.705
-8.591 1.578 3.759
Hg Os Sc
2 1 1
Direct
0.004 0.004 0.004
0.243 0.243 0.243
0.493 0.493 0.493
0.760 0.760 0.760

----------

(1)
Density functional theory data (GGA-PBE) for crystalline MgCr2I at its relaxed geometry.

Calculated values
DOS at the Fermi energy in states/eV per atom: 0.51
Volume in Å³/f.u.: 88.7
E_form (uncorrected) in eV/f.u.: 3.5
ρ in g/cm3: 4.78
Total magnetization in μB per atom: 2.226

Geometry as POSCAR:
```
MgCr2I
1.0
-3.462 -3.536 -0.757
-4.351 0.187 2.469
-4.222 1.114 -2.449
Cr Mg I
2 1 1
Cartesian
-9.026 -1.676 -0.553
-3.009 -0.559 -0.184
0.000 0.000 0.000
-6.017 -1.117 -0.369
```

(2)
Density functional theory data (GGA-PBE) for crystalline Mg2CrI at its relaxed geometry.

Calculated values
DOS at the Fermi energy in states/eV per atom: 0.57
Volume in Å³/f.u.: 101.3
E_form (uncorrected) in eV/f.u.: 2.3
ρ in g/cm3: 3.73
Total magnetization in μB per atom: 1.116

Geometry as POSCAR:
```
Mg2CrI
1.0
0.000 3.700 3.700
3.700 0.000 3.700
3.700 3.700 0.000
Cr I Mg
1 1 2
Cartesian
0.000 0.000 0.000

How to be Content with Everything in Life? Try these Simple Steps.

‘Happiness’ is a word that can hold a different meaning for everyone. Certainly, we all go through things that make us wonder if happiness ever sticks. Because one moment we are there, and the next we find ourselves retreating and you end up feeling lost. Everything in life comes off as frustrating.

Although buying a brand new car or expensive jewellery can make you happy. However, this kind of happiness is short-lived. Too often, you may have a perception that when I have ‘this’, then I’ll be happy. However, this is a poor perspective that you carry.

If you were to spend your whole life chasing happiness you would not find it.

'''
Material: NaNiIO2
Method: DFT, PBE with a Hubbard U
State: optimized geometry

Computed properties:
The calculated density is 4.21 Mg/m³. As for the symmetry: P4/mmm. The value obtained for the energy relative to the lowest polymorph listed for this composition is 0.0 meV/atom. The value obtained for the density of states at the Fermi level is 5.00 states/eV/cell. As for the total DFT energy (no corrections): -0.1222 hartree per atom.

Cell lengths 4.049, 4.049, 5.787 Å; angles 90.00, 90.00, 90.00 degrees
Site moments in Bohr magnetons follow the coordinates.
Positions (direct):
1 Ni 0.000 0.000 0.000  1.76
2 O 0.000 0.500 0.000  0.72
3 O 0.500 0.000 0.000  0.72
4 I 0.000 0.000 0.500  0.11
5 Na 0.500 0.500 0.500  0.00
'''
Back to the text.

Because what we are seeking is not happiness. But i believe is a form of contentment in life. Its about the satisfaction and acceptance with just everything in life.

Contentment is therefore understood as a fulfilling relationship with the self and society and happiness involves pleasurable experience.

A cup of coffee

Besides, being content has a lot to do with your perception of life. Again, you need to find the balance to stay content no matter what goes on in your life.

Here are some tips on how you can sustain happiness is your life and be content.


Show appreciation for the people that stick around you. No matter good or bad times they are with you. Moreover, be thankful for the experiences that shape you. Whenever you find yourself falling back, find that one thing or one person you are grateful for.

Be present in all things, and thankful for all things ~ Maya Angelou

Likewise, maintain a gratitude journal to note down one thing you are grateful for each day.

2. Be present

Everything you have, want to do or will do is in the present. Every time you are alone you drift into this negative chain of thinking about the past or future.

Appreciate the little things in life. Do not dwell on the past or all your problems.

Be aware of everything you do.

3. Acceptance

Learn to accept the condition of your life. You may not be happy with where you are in life. But accept the things that can get better.

Acceptance of struggles and challenges in life indeed can make you content in life.

4. Avoid comparison

Never compare your life and accomplishments with others. What you got is yours. In today’s times, people make everything appear cool for others to see but it’s not the reality. Just like you, everybody has got their share of struggle.

Enjoy what is yours without comparison.

5. Self care

Take care of your body and mind it increases your confidence. You don’t look for external satisfaction when you are happy with yourself. When your physical and emotional wellbeing aligns with your content mindset, you will never feel drained.

Contentment is a mindset that is never exhausted ~ Ali Ibn Abi Talib

6. Do what you love

Discontent is first neccessity of progress ~ Thomas A. Edison

• Attached: data records:
No. 1
First-principles (PBEsol) data for a geometry-optimized TaReSiAs2 structure, as listed in Alexandria.

Properties
**Formation energy from raw total energies**: 1.544 eV/atom

abc: 4.870 4.870 4.820
angles: 90.00 90.00 90.00
Space group P4/mmm (No. 123)
Unique sites:
Ta: 0.000 0.000 0.000 (multiplicity 1)
Re: 0.500 0.500 0.500 (multiplicity 1)
Si: 0.000 0.000 0.500 (multiplicity 1)
As: 0.000 0.500 0.000 (multiplicity 2)

---

No. 2
First-principles (PBEsol) data for a geometry-optimized ReTcSnAs2 structure, as listed in Alexandria.

Properties
**ΔH_f (0 K)**: 6.932 eV per formula unit

abc: 4.605 4.605 5.246
angles: 90.00 90.00 90.00
Space group P4/mmm (No. 123)
Unique sites:
Re: 0.000 0.000 0.000 (multiplicity 1)
Tc: 0.500 0.500 0.500 (multiplicity 1)
Sn: 0.500 0.500 0.000 (multiplicity 1)
As: 0.000 0.500 0.500 (multiplicity 2)

~~~~~

This record from Alexandria via LeMat-Bulk describes crystalline Tb2Ga4Pd5 at its relaxed geometry. The functional is PBE.

Summary:
VASP energy = -55.28 eV for the cell shown
calculated formation energy = -0.723 eV per atom
N(E_F) = 0.4861 states/eV/atom

a b c (Å): 9.1382 8.3311 5.4721
angles (deg): 79.99 63.87 36.14
With the nearest neighbours (Å) after each atom.
Atoms (fractional coordinates):
Tb: 0.1278 0.1278 0.8722  6 Ga 3.17-3.23, 10 Pd 3.34-3.46
Tb: 0.8722 0.8722 0.1278  6 Ga 3.17-3.23, 10 Pd 3.34-3.46
Ga: 0.2142 0.5255 0.4745  5 Pd 2.51-2.63
Ga: 0.4745 0.7858 0.2142  5 Pd 2.51-2.63
Ga: 0.5255 0.2142 0.7858  5 Pd 2.51-2.63
Ga: 0.7858 0.4745 0.5255  5 Pd 2.51-2.63
Pd: 0.0000 0.0000 0.5000  4 Ga 2.63, 4 Pd 2.74-2.81
Pd: 0.2500 0.2500 0.2500  4 Ga 2.51
Pd: 0.5000 0.5000 0.0000  4 Ga 2.63, 4 Pd 2.74-2.81
Pd: 0.5000 0.5000 0.5000  4 Ga 2.51, 4 Pd 2.74
Pd: 0.7500 0.7500 0.7500  4 Ga 2.51



This record from Alexandria via LeMat-Bulk describes crystalline TbGa6Pd4 at its relaxed geometry. The functional is PBE.

Summary:
VASP energy = -50.43 eV for the cell shown
calculated formation energy = -0.624 eV per atom
N(E_F) = 0.5204 states/eV/atom

a b c (Å): 7.4361 7.4361 3.9796
angles (deg): 90.00 90.00 120.00
With the nearest neighbours (Å) after each atom.
Atoms (fractional coordinates):
Tb: 0.0000 0.0000 0.0000  6 Ga 3.21, 6 Pd 3.26
Ga: 0.1952 0.3904 0.5000  4 Pd 2.55-2.67
Ga: 0.1952 0.8048 0.5000  4 Pd 2.55-2.67
Ga: 0.5337 0.0674 0.0000  5 Pd 2.58-2.62
Ga: 0.5337 0.4663 0.0000  5 Pd 2.58-2.62
Ga: 0.6096 0.8048 0.5000  4 Pd 2.55-2.67
Ga: 0.9326 0.4663 0.0000  5 Pd 2.58-2.62
Pd: 0.3333 0.6667 0.0000  9 Ga 2.58-2.67
Pd: 0.4012 0.2006 0.5000  6 Ga 2.55-2.62
Pd: 0.7994 0.2006 0.5000  6 Ga 2.55-2.62
Pd: 0.7994 0.5988 0.5000  6 Ga 2.55-2.62

Like Edison said, if you are discontent, frustrated and feel a vacuum in your life… It’s time to make some progress.

Moreover, there are tasks and goals you always wanted to do but never did. Too often your busy life manipulates you to forgo your interests.

You need to follow your calling and do what you love.

Choose contentment

Show compassion to yourself and those around you. Moreover, life is going to throw curveballs. Its not always flowers and roses and being content is actually a choice you can make at the moment. A choice to show appreciation and gratitude for everything in life. The trying times will pass and will come back again. But when you got a hold of yourself nothing will disrupt the contentment. Otherwise you see happiness as fleeting. Because what you need is not happiness but a kind of fulfilment in the present moment.

So today choose to be content in the here and now.